Slacking Breaks

I think one of the elements of allowing myself to relax is the realisation of exactly how exhausted and tired I am. I don’t think I ever properly realise my own exhaustion during my time at university. I don’t have time for such frivolities, I have more pressing concerns to attend to, namely studying and doing important things for my own education that cannot be put off for longer than absolutely necessary. And I justify it to myself by saying that I am at university to study and study I must do without slacking. Everything I do is in a bid to not slack and call to question the use and legitimacy of being at university. I am there with a purpose to learn and I shall work myself and apply myself to that process, and when I fail in that purpose, like I have done a lot this semester, it takes a toll on me because I cannot bear the thought of being like that.

But I have been really sleepy the whole day today, my head is aching right now as I type and I want nothing more than to collapse on my bed and sleep until the end of eternity. I am also worried because half the semester has gone by so fast and in another half, I shall have my finals and I am absolutely not confident about it at all. Part of it is probably my own insecurities coming into play about my own estimate of my intelligence (which is not very high, to be honest, because I have allowed myself no reason to believe otherwise). But that being said, I think this break has allowed me a time when I could properly take time out for myself, to be with people who love me and who I love back. Of course, I also miss university and the people there with a strong passion, but I am going back there and I also most definitely needed and wanted this. This breath of home and grandparents, of one of the very few things that have been quite stable so far in my life. Surely the quest for this was worth the general slacking I have been doing this break?

And that’s my memory for the day.

To be Privy to Myself

Differences get more pronounced when you put them against a backdrop of seeming homogeneity. Changes seem more alien when you keep them next to what had once been familiar. I went out with a friend today and when I spoke to her, I realised just how much I had changed from the person I had been. From the smallest things, from the way I held myself to my hairstyle to my way of speaking, everything has changed quite a bit. I view them all as positive changes, I am quite happy with the changes, they are changes I have wanted for a long time and they are finally happening. But I had not been privy to my own change–it sounds extremely dumb, how can I not be privy to things that happen to me? But that’s what it is, I have been quite spectacularly clueless about myself (I still am, but growth curves, they are quite real).

Another uncomfortable thing I realised today was that till date, the biggest compliment that anyone can give me is to say that I have lost weight. I seem to have quite an unhealthy obsession with weight, with wanting to lose it and feeling inordinately pleased when someone says that I have lost weight. It is an extremely insidious thing, I feel, to feel that way about myself, because I end up fat-shaming myself if I don’t lose weight. Possible serious issues that could raise because of this includes eating disorders, and I don’t want that on my plate (okay, that was an unintended pun, but a good one nonetheless). So I am going to actively try to stop myself from this obsession, it is difficult, especially in a family where weight is given a lot of ‘weight,’ where judgments are passed freely for weight, where being shamed for weight is normalised and is actually considered to be a motivator. I am probably at my healthiest right now and my weight should not be dictating my ideas and thoughts like this.

I do concede that just a year back, I had been a lot heavier and a lot less healthy. My weight was adding to my period complications and it was only after I came to Ashoka that I started losing weight. I was also losing weight fast, and a lot of it was also due to unhealthy eating habits. I have lost nearly 10/11 kgs in this one year I have been in college and in numbers, that is quite a mind-boggling thing. But I think this is where I shall draw myself a line, I don’t think I want to be heavier than this but I also am apprehensive of getting lower than this. I am probably still in the overweight BMI scale, but it is pretty skewed and not quite accurate and so I am just trusting what I feel about my own general health and I feel quite positive about (and I pray I am not jinxing that) that.

I also felt weirdly pretty today and just when I was feeling quite happy about myself and my life, I was whistled to on the road and I felt a rage I could not explain. I had been cycling to meet my friend and this man on a motorcycle was travelling the other direction and he just whistled to me in the cinematic hoohoo way. And before I could respond, he was gone and I had to go on my way. At the beach, as I was trying to find a place to park my cycle, I was once again stared and pointed at by a group of men. It all made me extremely angry, I was finally feeling in control of my own body and finally learning to feel confident in my own body and skin and this just pulled me down. And I felt helpless too because it felt like I could not do anything against them. They knew it too, they thrived in the knowledge that nothing would affect them. Well, that was a ruined mood, but I refuse to let it boil for longer than this in my head. I had sambar vadai, I am going to a movie probably tomorrow, and I am excited to do it all. So, I am going to sleep after a tiring day and because of tired hands that cannot type. My break will be good, right?

For Mg14GaSi, a DFT-relaxed cell (PBE, the Materials Project) gives the calculated PXRD pattern in this record (Cu Ka).

Main lines, sorted by position (2θ from 10° to 90°):
2θ/deg, Rel. int., h k l
33.15, 24.6, 2 0 0
35.08, 27.0, 0 0 4
37.65, 100.0, 2 0 2
59.23, 16.7, 2 2 0
64.63, 19.1, 2 0 6
70.73, 19.1, 2 2 4

Cell: 6.2405 6.2405 10.2315 Å, 90.00 90.00 120.00°
Space group P-6m2 (No. 187)
Asymmetric unit:
Mg 0.0000 0.0000 0.2503 (multiplicity 2)
Mg 0.0022 0.5011 0.2496 (multiplicity 6)
Mg 0.3327 0.1664 0.0000 (multiplicity 3)
Mg 0.3336 0.1668 0.5000 (multiplicity 3)
Ga 0.3333 0.6667 0.5000 (multiplicity 1)
Si 0.3333 0.6667 0.0000 (multiplicity 1)


The following is a theoretical X-ray powder pattern of La3HoGa2. It was derived from DFT lattice parameters and positions (PBE), using Cu Kα.
Lines closer than 0.1° are merged.

Main lines, sorted by position (5 to 70 degrees two-theta):
Position (°2θ)	d [Å]	I (rel.)
28.24	3.160	36
30.38	2.942	20
31.61	2.831	23
32.27	2.774	100
32.93	2.720	84
34.29	2.615	49
46.46	1.955	12
47.79	1.903	21
58.46	1.579	16
60.55	1.529	23

Cell and atoms:
a = 5.230 Å, b = 9.814 Å, c = 6.732 Å
α = 90.00°, β = 90.00°, γ = 90.00°
Atoms (fractional coordinates):
La 0.000 0.053 0.000
La 0.000 0.336 0.325
La 0.000 0.664 0.825
La 0.000 0.947 0.500
La 0.500 0.175 0.705
La 0.500 0.825 0.205
Ho 0.500 0.442 0.025
Ho 0.500 0.558 0.525
Ga 0.000 0.352 0.811
Ga 0.000 0.648 0.311
Ga 0.500 0.153 0.225
Ga 0.500 0.847 0.725

The following is a theoretical X-ray powder pattern of LaHoGa4. It was derived from DFT lattice parameters and positions (PBE), using Cu Kα.
Lines closer than 0.1° are merged.

Main lines, sorted by position (5 to 70 degrees two-theta):
Position (°2θ)	d [Å]	I (rel.)
23.96	3.715	6
27.61	3.231	33
32.04	2.793	100
36.87	2.438	53
42.41	2.132	41
47.87	1.900	25
51.35	1.779	12
57.43	1.605	29
61.52	1.507	13
65.85	1.418	19

Cell and atoms:
a = 4.263 Å, b = 4.263 Å, c = 14.858 Å
α = 90.00°, β = 90.00°, γ = 90.00°
Atoms (fractional coordinates):
La 0.000 0.000 0.000
La 0.500 0.500 0.500
Ho 0.000 0.500 0.250
Ho 0.500 0.000 0.750
Ga 0.000 0.000 0.415
Ga 0.000 0.000 0.585
Ga 0.000 0.500 0.668
Ga 0.000 0.500 0.832
Ga 0.500 0.000 0.168
Ga 0.500 0.000 0.332
Ga 0.500 0.500 0.085
Ga 0.500 0.500 0.915


[1]
Structure and calculated powder diffraction line list of Nb3V3Ir2 (DFT lattice parameters and positions (GGA-PBE); Cu Kα (weighted mean of Kα1 and Kα2)).
Lines closer than 0.1° are merged.

The 6 most intense peaks (2θ from 5° to 70°), sorted by position:
2θ = 25.2°, I 615, hkl 1 1 0; 2θ = 35.9°, I 597, hkl 2 0 2; 2θ = 40.3°, I 540, hkl 1 1 3; 2θ = 44.4°, I 1000, hkl 1 2 2; 2θ = 44.4°, I 337, hkl 3 0 0; 2θ = 58.4°, I 132, hkl 2 1 4

Atomic structure:
```
data_Nb3V3Ir2
_symmetry_space_group_name_H-M 'R 3 2'
_symmetry_Int_Tables_number 155
_symmetry_space_group_name_Hall 'R 3 2"'
_cell_length_a 7.0616
_cell_length_b 7.0616
_cell_length_c 8.6752
_cell_angle_alpha 90.00
_cell_angle_beta 90.00
_cell_angle_gamma 120.00
loop_
_atom_site_label

And that’s my memory for the day.

Breakdown and Heal

I lost too many things today, too many that I cannot count. Too much has happened, that I am overwhelmed, despondent and a thousand other things all at once and I can do absolutely nothing about it. Everything seems to be going wrong, I do not know how to handle anything, I have skipped too many meals, I have completely and undeniably lost myself. And it is not the good kind of losing myself, it is the kind which makes me panic, makes my chest hurt, my head hurt, my throat to close up and make me unable to breathe. I can already feel the physical effects of everything that has been happening around me. Even during my hardest times, I have never felt like there was nothing at all that happened in a day that made me the slightest bit happy. And that is scary because I have never been that hopeless before.

I have a presentation tomorrow that I am terrified about, the thing that has been bothering me the last few days reared its head once again and this time, reared its head and promptly jumped off a cliff and took my heart with it. And well, the pain is not just mental but also very physical and even though I may not have broken bones to prove it, the pain I felt was very much real. The worst part for me though was the fact that I allowed myself to be vulnerable to such pain, to indirectly cause myself that pain. That I had shamelessly cheered myself on undertaking this journey. So now, it is back to bite me in my derriere, that I allowed myself to be carried away by the foolish fancies of my whimsical mind. If there’s anything I have known until now, foolish fancies are just that, foolish. They don’t deserve the importance or hope that I harboured for them, they took that hope and used it to suck the remaining hope from out of me. The dream of the orphanage and the loner life seem much more plausible right now. Maybe I am underestimating myself, maybe I am not. But of all the things I know, I know I at least deserve that dream of an orphanage.

I wrote myself this note today in the morning when I woke up. I told myself that these were going to be my basic postulates, that I was going to follow them, ingrain them into my psyche and keep as true to them as possible. Well, I do feel nauseous now because I have too many things that I am worried about and also because I have not had proper food since morning. I also broke down and while having a breakdown is scary and preferably avoided, I think I needed the breakdown for release. I feel much better after the break down because it helped me get some of the bad thoughts out, some of the negative emotions out. And while I am not exactly proud of having a breakdown so early on in the semester, it was not something I could have avoided. And for me, I think I need to understand that this does not pose a judgement on my resilience and strength. I am strong, I am brave and I am going to get better. Starting with now, so I am going to get some work done and get to bed. Sleep is important after all, right?

And that’s my memory for the day.


Well, today was a day of many disappointments and frustrations. The last couple of days have been bad for me, mental headspace wise. I want to take a break, withdraw from what I can (internet, people, the likes), all so that I find the space and tools to heal myself, properly this time. I think it is quite long overdue, I have been cutting corners with myself for too long now and at that rate, I would have crashed sooner or later and made a huge spectacle of myself. In a way, I am making myself believe that this disaster right now, can be slapped on with a ‘crisis averted’ sticker.

My need to withdraw also meant, I guess, a break from this blog. But I owe it to myself to write here every day. I initially even had a workaround for this complication. I need not post it on my blog, but I could write my posts for each day, say, on a word document and then at the end of whatever, I could just bulk post them. Or maybe, I could play around tamper with the post timings a bit. But that’s wrong, I don’t want to cheat. I want to face this head-on, tackle the problem and emerge victorious fair and square. So here I am, battling sleepiness to write this post with my inexperienced hands. This post is not long enough, my apologies. But take this as part of my healing, I will be ‘away’ for a while. But I hope to come back, stronger and roaring. I will, won’t I?

Someone pasted materials data at this point =
____________
# CeMg9Cd3
Calculated X-ray powder pattern, Cu Kα X-rays. Input: the GGA-PBE geometry in Alexandria.
No peak broadening, texture or thermal motion is included.

Cell and atoms:
Cell lengths 7.711, 7.711, 7.712 Å; angles 98.28, 98.28, 134.97 degrees
Atoms (fractional coordinates):
Ce (0.000, 0.000, 0.000)
Mg (0.000, 0.000, 0.500)
Mg (0.002, 0.650, 0.652)
Mg (0.288, 0.503, 0.788)
Mg (0.350, 0.998, 0.348)
Mg (0.497, 0.712, 0.212)
Mg (0.503, 0.288, 0.788)
Mg (0.650, 0.002, 0.652)
Mg (0.712, 0.497, 0.212)
Mg (0.998, 0.350, 0.348)
Cd (0.000, 0.500, 0.000)
Cd (0.500, 0.000, 0.000)
Cd (0.500, 0.500, 0.500)

Principal peaks in the range 5° ≤ 2θ ≤ 70°, in order of rising 2θ:
2θ/deg	Rel. int.
12.4	36
17.4	32
17.6	34
24.9	50
25.0	30
30.5	24
35.1	51
35.3	54
35.6	100
51.1	28

----------

Diffraction record for CsHg2Sb2S6. The powder diffraction line list is simulated, not measured: it uses a GGA-PBE-relaxed structure and a wavelength of 1.5418 Å.
Lines closer than 0.1° are merged.

Cell and atoms:
a b c (Å): 6.8992 7.2950 8.5940
angles (deg): 113.70 90.41 96.77
Fractional positions:
Cs 0.0000 0.0000 0.0000
Hg 0.4863 0.7315 0.2876
Hg 0.5137 0.2685 0.7124
Sb 0.0229 0.2899 0.5654
Sb 0.9771 0.7101 0.4346
S 0.2033 0.4550 0.3657
S 0.2347 0.4361 0.8303
S 0.2400 0.9595 0.3559
S 0.7600 0.0405 0.6441
S 0.7653 0.5639 0.1697
S 0.7967 0.5450 0.6343

Principal peaks in the range 2θ from 5° to 70°, low angle first:
11.26 deg, intensity 53; 13.55 deg, intensity 64; 19.53 deg, intensity 77; 20.76 deg, intensity 100; 21.11 deg, intensity 50; 26.86 deg, intensity 92
____________
The piece goes on =

And that’s my memory for the day.

Going to Meet the Family

I am on my way back home, or rather where my family is. But then, I have come to realise that more than the location itself, I place more importance on my family. Yes, Chennai will be home, but I don’t miss it that much. There are newer pastures to be grazed on, and I, for one, am terribly excited. This summer break is just starting, and I want these three months to be beautiful. I have a feeling they will be, I am going to try my hardest to make them beautiful for myself. I have a lot of plans for the break, I don’t know if they will all work out, but I am going to try my best.

It was only today, in the afternoon, when I completely lost it and started bawling my eyes out. This whole semester felt like it was a disaster. All my life, I had been given results on a golden platter. I was able to achieve results by putting in minimum effort, or sometimes even less. It was a flattering kind of thing to happen, I felt extremely validated, especially when people would be surprised to know that I was able to do something with so less effort. Yes, I was vain, I still am vain in many aspects. But I have also become extremely self-critical, something I fear might be getting slightly out of hand. It is good to keep oneself in control, and checking oneself from straying but the kind of stupidity I ended up doing is something I hope I don’t repeat next semester.

I lost it today because, for a second, I felt like the tables had completely turned on me. After years of achieving things with little to no effort, to not see results after working hard was a huge disappointment. I did work hard this semester, pushed myself, and kept myself in check, tried my best not to slack and did my work on time (or as close to ‘on time’ as possible). I worked through all my problems, and there were plenty of them. I was also simultaneously handling some tumultuous personal relationships, with friends, with parents, with my brother, everyone in general.

When I was younger, people used to think that I worked hard, which was a total lie because I really did not. I did not spend time studying in my house, I did not spend hours working on anything, I did not put in that much commitment and dedicated effort. In retrospect, I sometimes wonder if I should have done that if only to fuel my own ego that I was passionate about something. But then, being passionate about something is such a hard definition to draw, it gets very tricky. I did not want to be at the receiving end of that, most definitely not.

I am sitting here at the airport, completely alone but I don’t feel that alone. I have made some great friends, who I love from the bottom of my heart. I have always been very invested in every relationship I formed–I like to say that I have a LOT OF LOVE to give and share. I will miss them all terribly and the prospect of not being able to meet them for three months is scary. I don’t know how it will be, to suddenly want someone to speak with at night and finding that they are not around me. It will be difficult to get used to, but thankfully I will have my family. I cannot wait to meet my family–except my mother who I saw recently, my father and brother have both not seen me in person, and I, them.

I find myself wondering how tall my brother might have grown, maybe he’ll be about the height of my forehead? Maybe taller? Maybe shorter? I know I have grown a little taller and lost quite a bit of weight. I know that they will be surprised to see me, and I, them. I am anxious, nervous, and extremely excited. This summer is a world of possibilities, it is up to me to make it the beautiful garden it is capable of being. I can nurture myself well this summer, I will, won’t I?

And that’s my memory for the day.